
Authentication is needed if you want to be able to do an API write operation, like edit a user's profile information or upload an item (pin) for example.

API Endpoint

API Pair and Token

The API Pair is a combination of user's API key and user's API shared secret. Currently this is the only way to authenticate through the API programatically.


The API key is a 64 character string randomly generated for user's account.


API_KEY = 'e519f7e8481e2002f9874cf10ac19bfca533704746d02b98ee9f9f6baa3231d8'

API Shared Secret

The API shared secret is a 32 character string randomly generated for user's account.


API_SECRET = '4a37d542252bd03300a8e79131f9624c'

[These materials data were left in the entry by mistake]
'''
Diffraction record for Sr3Mg7Zn2. The X-ray powder pattern is computed, not measured: it uses a PBE-relaxed structure and Cu Kα, 1.54184 Å.
Intensities are scaled so that the largest is 100.

Top 10 peaks for 2θ from 10° to 80°, sorted by position:
two_theta	I/Imax
18.3	21
27.0	24
28.3	67
29.5	15
32.9	17
33.9	100
50.0	13
53.7	26
55.6	19
58.5	20

```
Sr3Mg7Zn2
1.0
3.1572 1.8228 9.6818
-3.1572 1.8228 9.6818
0.0000 -3.6456 9.6818
Sr Mg Zn
3 7 2
Cartesian
0.0000 0.0000 0.0000 Sr
0.0000 0.0000 4.1695 Sr
0.0000 0.0000 24.8761 Sr
-1.5853 -0.9153 11.8638 Mg
0.0000 -1.8306 17.1817 Mg
-1.5853 0.9153 17.1817 Mg
0.0000 0.0000 14.5228 Mg
1.5853 -0.9153 11.8638 Mg
0.0000 1.8306 11.8638 Mg
1.5853 0.9153 17.1817 Mg
0.0000 0.0000 9.6997 Zn
0.0000 0.0000 19.3458 Zn
```

Diffraction record for CeSmGaSn. The X-ray powder pattern is computed, not measured: it uses a PBE-relaxed structure and Cu Kα, 1.54184 Å.
Intensities are scaled so that the largest is 100.

Top 10 peaks for 2θ from 10° to 80°, sorted by position:
two_theta	I/Imax
29.5	35
30.5	100
31.4	81
33.5	71
37.9	99
42.2	73
53.5	51
58.0	41
61.2	24
69.9	19

```
CeSmGaSn
1.0
4.2840 0.0000 0.0000
0.0000 4.2840 0.0000
0.0000 0.0000 11.3948
Ce Sm Ga Sn
2 2 2 2
Cartesian
1.0710 3.2130 0.0000 Ce
3.2130 1.0710 0.0000 Ce
1.0710 1.0710 3.1718 Sm
3.2130 3.2130 8.2230 Sm
1.0710 1.0710 9.1146 Ga
3.2130 3.2130 2.2802 Ga
1.0710 1.0710 6.3166 Sn
3.2130 3.2130 5.0782 Sn
```

Diffraction record for K2H2I. The X-ray powder pattern is computed, not measured: it uses a PBE-relaxed structure and Cu Kα, 1.54184 Å.
Intensities are scaled so that the largest is 100.

Top 10 peaks for 2θ from 10° to 80°, sorted by position:
two_theta	I/Imax
10.7	100
20.6	59
23.4	53
25.4	87
26.3	22
34.5	38
35.1	33
35.2	18
35.8	19
42.7	20

```
K2H2I
1.0
4.4555 -2.5473 0.0000
4.4555 2.5473 0.0000
-3.8616 0.0000 8.2460
K H I
2 2 1
Cartesian
1.0496 0.0000 2.0324 K
3.9999 0.0000 6.2137 K
4.0696 0.0000 0.0427 H
0.9798 0.0000 8.2034 H
-1.9308 0.0000 4.1230 I
```

Diffraction record for Ca10Ge6F. The X-ray powder pattern is computed, not measured: it uses a PBE-relaxed structure and Cu Kα, 1.54184 Å.
Intensities are scaled so that the largest is 100.

Top 10 peaks for 2θ from 10° to 80°, sorted by position:
two_theta	I/Imax
20.2	29
31.6	100
32.7	16
33.6	46
36.7	55
40.2	17
42.5	15
52.8	16
63.3	13
66.6	14

```
Ca10Ge6F
1.0
-3.8750 3.8750 7.3491
3.8750 -3.8750 7.3491
3.8750 3.8750 -7.3491
Ca Ge F
10 6 1
Cartesian
2.5011 -2.5011 5.7428 Ca
2.5821 2.5821 -1.4950 Ca
3.8750 0.0000 3.6746 Ca
1.3740 1.3740 1.6064 Ca
1.2929 -1.2929 8.8441 Ca
1.2929 1.2929 5.8542 Ca
-2.5011 2.5011 5.7428 Ca
0.0000 3.8750 3.6746 Ca
-1.2929 1.2929 8.8441 Ca
2.5011 2.5011 8.9555 Ca
3.8750 0.0000 0.0000 Ge
0.9175 -0.9175 3.6288 Ge
-0.9175 0.9175 3.6288 Ge
0.0000 3.8750 0.0000 Ge
2.9576 2.9576 3.7203 Ge
0.9175 0.9175 11.0695 Ge
0.0000 0.0000 7.3491 F
```

Diffraction record for AcScSeS2. The X-ray powder pattern is computed, not measured: it uses a PBE-relaxed structure and Cu Kα, 1.54184 Å.
'''

NOTE: This string MUST be kept secret at all times otherwise it will compromise user's security. It must be used ONLY when generating the API Token

Get your API keys

API Keys can be taken from user's profile edit view in the section "API Settings" at the bottom of the page.

If the fields are empty, the API pair can be generated by clicking "Generate API Pair"

API Token

The API Token is a hash that validates the user sending the request.

It is generated by concatenating all request path and request data in specific way. First all key and values are concatenated into a pair with =. then all pairs are ordered alphabetically and concatenated with &.


Request Data, Path:

Request data consists of data send through query string and post data .

api_path = 'user/get_edit.json'

data = {
    'id'              : 19,
    'example_variable': 123,
    'api_key'         : 'e519f7e8481e2002f9874cf10ac19bfca533704746d02b98ee9f9f6baa3231d8',

Concatenate key and value. Order alphabetically

data = [

Concatenate pairs

BODY = 'api_key=e519f7e8481e2002f9874cf10ac19bfca533704746d02b98ee9f9f6baa3231d8&api_path=user/get_edit.json&example_variable=123&id=19'

Generate Token

For the token generation we use HMAC with SHA256 as digest module and the shared secret is our crypto key. After that the API Token is send with the request variables as get argument.

api_token =, BODY, hashlib.sha256).hexdigest()
api_token = '0083a327ee8f63e9f57829dc58214bd63a078c7fcd69f369d54e4fd28a7df7d3' # Example Token

Code Example

import hmac, hashlib
from collections import OrderedDict

API_SECRET = '4a37d542252bd03300a8e79131f9624c'

data = {
    'id'              : 19,
    'example_variable': 123,
    'api_key'         : 'e519f7e8481e2002f9874cf10ac19bfca533704746d02b98ee9f9f6baa3231d8',
    'api_path'        : 'user/get_edit.json',

BODY = '&'.join(['{}={}'.format(k, v) for k, v in OrderedDict(sorted(data.items() + postdata.items())).items()])

api_token =, BODY, hashlib.sha256).hexdigest()

Sending Requests

Code Example

import hmac, hashlib, requests
from collections import OrderedDict

********
Computed X-ray powder pattern
Compound: Pr2CoCuGe4
Radiation: Cu Kα
Structure: a cell relaxed with PBE

Unit cell a=4.2699 b=4.2754 c=16.9358 alpha=90.00 beta=90.00 gamma=90.00
Atoms (fractional coordinates):
Pr 0.0000 0.0000 0.0000
Pr 0.0000 0.5000 0.5000
Pr 0.5000 0.0000 0.2164
Pr 0.5000 0.5000 0.7164
Co 0.5000 0.0000 0.4219
Co 0.5000 0.5000 0.9219
Cu 0.0000 0.0000 0.7817
Cu 0.0000 0.5000 0.2817
Ge 0.0000 0.0000 0.3602
Ge 0.0000 0.0000 0.6423
Ge 0.0000 0.5000 0.1423
Ge 0.0000 0.5000 0.8602
Ge 0.5000 0.0000 0.5587
Ge 0.5000 0.0000 0.8592
Ge 0.5000 0.5000 0.0587
Ge 0.5000 0.5000 0.3592

Principal peaks in the range 10° ≤ 2θ ≤ 90°, most intense first:
2theta	I (rel.)	h k l
33.6	1000	1 1 3
42.3	593	2 0 0
33.8	380	0 1 5
38.2	291	1 0 6
71.8	258	3 1 3
30.0	204	1 1 1
61.4	192	2 2 0
55.2	182	2 1 5
58.3	166	1 2 6
53.2	129	0 1 9

=====

Entry 1:
Simulated powder X-ray diffraction pattern
Compound: Pr3InHg5
Radiation: Cu Kα X-rays
Structure: DFT lattice parameters and positions (PBE)
Neutral-atom scattering factors, no anomalous dispersion.

Principal peaks in the range 2θ = 15–90°, low angle first:
two_theta  I (rel.)
33.4  90.8
33.6  100.0
43.7  10.5
48.2  32.9
60.0  34.0
60.2  18.9
66.8  27.9
70.7  11.7
80.5  14.9
86.6  14.3

Structural model:
a b c (Å): 9.229 9.229 6.582
angles (deg): 90.00 90.00 120.00
Fractional positions:
Pr 0.000 0.339 0.250
Pr 0.000 0.661 0.750
Pr 0.339 0.000 0.250
Pr 0.339 0.339 0.750
Pr 0.661 0.000 0.750
Pr 0.661 0.661 0.250
In 0.000 0.000 0.000
In 0.000 0.000 0.500
Hg 0.000 0.328 0.750
Hg 0.000 0.672 0.250
Hg 0.328 0.000 0.750
Hg 0.328 0.328 0.250
Hg 0.333 0.667 0.000
Hg 0.333 0.667 0.500
Hg 0.667 0.333 0.000
Hg 0.667 0.333 0.500
Hg 0.672 0.000 0.250
Hg 0.672 0.672 0.750

---

Entry 2:
Simulated powder X-ray diffraction pattern
Compound: KCuP2S6
Radiation: Cu Kα X-rays
Structure: DFT lattice parameters and positions (PBE)
Neutral-atom scattering factors, no anomalous dispersion.

Principal peaks in the range 2θ = 15–90°, low angle first:
two_theta  I (rel.)
16.8  56.5
18.4  29.3
22.2  100.0
23.7  25.6
26.1  48.2
28.5  50.2
31.4  25.2
31.9  29.1
33.4  24.6
37.4  25.9

Structural model:
a b c (Å): 9.871 9.871 5.807
angles (deg): 97.65 97.65 98.91
Fractional positions:
K 0.127 0.873 0.750
K 0.873 0.127 0.250
Cu 0.354 0.646 0.250
Cu 0.646 0.354 0.750
P 0.217 0.354 0.855
P 0.354 0.217 0.355
P 0.646 0.783 0.645
P 0.783 0.646 0.145
S 0.052 0.208 0.797
S 0.184 0.547 0.979
S 0.208 0.052 0.297
S 0.305 0.400 0.548
S 0.400 0.305 0.048
S 0.453 0.816 0.521
S 0.547 0.184 0.479
S 0.600 0.695 0.952
S 0.695 0.600 0.452
S 0.792 0.948 0.703
S 0.816 0.453 0.021
S 0.948 0.792 0.203
********

from requests.api import post

def api_call(path, querydata = {}, postdata = {}, api_key = '', api_secret = ''):
    BASE = ''

    querydata['api_key'] = api_key
    BODY = '&'.join(['{}={}'.format(k, v) for k, v in OrderedDict(sorted(querydata.items() + postdata.items() + [('api_path', path)])).items()])
    api_token =, BODY, hashlib.sha256).hexdigest()
    querystring = '&'.join(['{}={}'.format(k, v) for k, v in querydata.items()])
    url = '{}{}?{}&api_token={}'.format(BASE, path, querystring, api_token)

    return, data = postdata)

response = api_call(
    path = 'comments/post.json',
    postdata = {
        'item_id' : 1089880,
        'copy': 'lorem ipsum dolor cit amet...',
    api_key = 'e519f7e848189b352f7d8231e907bcb1b7e4360f1898d740f62b9fe041e61481',
    api_secret = 'd883a3e32a7865c088ed2d97d1896e32',
